To do:
Your job: print all of the entries further down unchanged.
Data:
/*
Entry 1:
{"formula": "C9H18F3IN4O4S", "method": "ωB97M-V/def2-TZVPD", "spin_multiplicity": 1, "total_energy_ha": -1868.990743, "homo_lumo_gap_ev": 3.2, "lumo_energy_ha": -0.09396, "de_lowest_ev": 0.000, "total_charge": 0, "homo_energy_ev": -5.74, "elements": ["I", "S", "F", "F", "F", "O", "O", "O", "O", "N", "N", "N", "N", "C", "C", "C", "C", "C", "C", "C", "C", "C", "H", "H", "H", "H", "H", "H", "H", "H", "H", "H", "H", "H", "H", "H", "H", "H", "H", "H"], "coordinates": [[2.057332, -0.915329, 2.358321], [-0.071623, 2.897405, -3.001755], [-0.395242, 5.028789, -1.563042], [-2.164675, 4.514474, -2.702694], [-0.391847, 5.374335, -3.700740], [1.137482, 2.895005, -2.269265], [2.652224, -6.101079, 4.482243], [1.903263, -4.054952, 3.908084], [0.027450, 2.619892, -4.386729], [-1.278537, 1.904119, -2.282771], [0.192340, 0.115042, -2.087574], [-2.818609, 0.701200, -0.322920], [-2.055641, -0.028721, -1.318220], [2.099596, 0.231357, -0.406343], [-2.933648, 0.608884, 2.103673], [-3.250943, -0.140983, 0.813940], [2.015239, 0.762706, 1.021205], [0.783472, -0.412794, -0.810681], [2.589568, -5.098726, 3.750450], [-0.828679, 4.587335, -2.741543], [3.472564, -5.149078, 2.478992], [-1.055014, 0.665450, -1.883413], [-3.614609, 1.132510, -0.771456], [-4.332477, -0.238687, 0.778241], [-3.403937, 1.587698, 2.042555], [3.368384, -4.238691, 1.883115], [-1.654436, -0.879079, -0.935284], [4.520490, -5.263916, 2.761804], [2.897337, -0.499976, -0.457998], [2.396035, 1.055698, -1.052543], [0.142538, -0.627941, -2.776099], [0.981686, -1.469260, -0.970632], [3.185659, -6.004987, 1.864532], [0.059604, -0.389696, 0.001251], [2.844889, 1.419592, 1.239970], [-2.798047, -1.127611, 0.811224], [-3.313890, 0.095510, 2.978145], [-1.867055, 0.803101, 2.165520], [-2.188945, 2.333273, -2.183146], [1.090701, 1.308129, 1.181582]], "forces_ev_per_angstrom": [[-0.17, -0.21, 0.24], [1.87, -0.03, -0.93], [-0.28, -0.09, -0.42], [0.18, 0.09, -0.36], [-0.42, -0.32, 0.14], [-0.33, -0.01, 0.98], [-0.07, 0.02, 0.04], [-0.13, 0.42, -0.10], [-1.12, -0.10, -0.26], [0.08, 0.80, 0.00], [-0.36, -0.17, 0.20], [0.17, -0.17, -0.50], [1.00, 0.99, 1.00], [0.08, 0.77, 0.47], [0.19, 0.30, -0.57], [-0.52, 0.72, 0.69], [0.17, -0.37, -0.11], [0.56, -0.96, -0.48], [0.13, -0.03, -0.14], [0.21, 0.12, 0.88], [-0.02, 0.18, -0.12], [-0.34, -0.55, -0.40], [-0.24, -0.37, -0.17], [-0.11, -0.45, -0.22], [-0.17, 0.10, 0.13], [-0.01, 0.00, 0.02], [-0.54, -0.31, 0.03], [-0.01, -0.10, 0.00], [0.12, -0.14, -0.07], [-0.32, 0.01, -0.32], [0.20, 0.21, -0.32], [-0.16, -0.18, -0.04], [0.06, -0.06, 0.06], [-0.04, 0.31, 0.16], [0.18, 0.01, 0.17], [0.14, -0.09, -0.25], [0.11, -0.16, 0.12], [0.17, -0.22, 0.30], [-0.13, -0.06, 0.08], [-0.12, 0.10, 0.07]], "nbo_charge": [0.17, 2.20, -0.28, -0.31, -0.26, -0.85, -0.76, -0.82, -0.85, -0.78, -0.66, -0.47, -0.39, -0.46, -0.60, -0.24, -0.55, -0.24, 0.76, 0.76, -0.73, 0.74, 0.37, 0.20, 0.21, 0.18, 0.42, 0.20, 0.23, 0.24, 0.43, 0.23, 0.20, 0.20, 0.23, 0.21, 0.24, 0.22, 0.45, 0.19]}

---

Entry 2:
*/
Response:
Entry 1:
{"formula": "C9H18F3IN4O4S", "method": "ωB97M-V/def2-TZVPD", "spin_multiplicity": 1, "total_energy_ha": -1868.990743, "homo_lumo_gap_ev": 3.2, "lumo_energy_ha": -0.09396, "de_lowest_ev": 0.000, "total_charge": 0, "homo_energy_ev": -5.74, "elements": ["I", "S", "F", "F", "F", "O", "O", "O", "O", "N", "N", "N", "N", "C", "C", "C", "C", "C", "C", "C", "C", "C", "H", "H", "H", "H", "H", "H", "H", "H", "H", "H", "H", "H", "H", "H", "H", "H", "H", "H"], "coordinates": [[2.057332, -0.915329, 2.358321], [-0.071623, 2.897405, -3.001755], [-0.395242, 5.028789, -1.563042], [-2.164675, 4.514474, -2.702694], [-0.391847, 5.374335, -3.700740], [1.137482, 2.895005, -2.269265], [2.652224, -6.101079, 4.482243], [1.903263, -4.054952, 3.908084], [0.027450, 2.619892, -4.386729], [-1.278537, 1.904119, -2.282771], [0.192340, 0.115042, -2.087574], [-2.818609, 0.701200, -0.322920], [-2.055641, -0.028721, -1.318220], [2.099596, 0.231357, -0.406343], [-2.933648, 0.608884, 2.103673], [-3.250943, -0.140983, 0.813940], [2.015239, 0.762706, 1.021205], [0.783472, -0.412794, -0.810681], [2.589568, -5.098726, 3.750450], [-0.828679, 4.587335, -2.741543], [3.472564, -5.149078, 2.478992], [-1.055014, 0.665450, -1.883413], [-3.614609, 1.132510, -0.771456], [-4.332477, -0.238687, 0.778241], [-3.403937, 1.587698, 2.042555], [3.368384, -4.238691, 1.883115], [-1.654436, -0.879079, -0.935284], [4.520490, -5.263916, 2.761804], [2.897337, -0.499976, -0.457998], [2.396035, 1.055698, -1.052543], [0.142538, -0.627941, -2.776099], [0.981686, -1.469260, -0.970632], [3.185659, -6.004987, 1.864532], [0.059604, -0.389696, 0.001251], [2.844889, 1.419592, 1.239970], [-2.798047, -1.127611, 0.811224], [-3.313890, 0.095510, 2.978145], [-1.867055, 0.803101, 2.165520], [-2.188945, 2.333273, -2.183146], [1.090701, 1.308129, 1.181582]], "forces_ev_per_angstrom": [[-0.17, -0.21, 0.24], [1.87, -0.03, -0.93], [-0.28, -0.09, -0.42], [0.18, 0.09, -0.36], [-0.42, -0.32, 0.14], [-0.33, -0.01, 0.98], [-0.07, 0.02, 0.04], [-0.13, 0.42, -0.10], [-1.12, -0.10, -0.26], [0.08, 0.80, 0.00], [-0.36, -0.17, 0.20], [0.17, -0.17, -0.50], [1.00, 0.99, 1.00], [0.08, 0.77, 0.47], [0.19, 0.30, -0.57], [-0.52, 0.72, 0.69], [0.17, -0.37, -0.11], [0.56, -0.96, -0.48], [0.13, -0.03, -0.14], [0.21, 0.12, 0.88], [-0.02, 0.18, -0.12], [-0.34, -0.55, -0.40], [-0.24, -0.37, -0.17], [-0.11, -0.45, -0.22], [-0.17, 0.10, 0.13], [-0.01, 0.00, 0.02], [-0.54, -0.31, 0.03], [-0.01, -0.10, 0.00], [0.12, -0.14, -0.07], [-0.32, 0.01, -0.32], [0.20, 0.21, -0.32], [-0.16, -0.18, -0.04], [0.06, -0.06, 0.06], [-0.04, 0.31, 0.16], [0.18, 0.01, 0.17], [0.14, -0.09, -0.25], [0.11, -0.16, 0.12], [0.17, -0.22, 0.30], [-0.13, -0.06, 0.08], [-0.12, 0.10, 0.07]], "nbo_charge": [0.17, 2.20, -0.28, -0.31, -0.26, -0.85, -0.76, -0.82, -0.85, -0.78, -0.66, -0.47, -0.39, -0.46, -0.60, -0.24, -0.55, -0.24, 0.76, 0.76, -0.73, 0.74, 0.37, 0.20, 0.21, 0.18, 0.42, 0.20, 0.23, 0.24, 0.43, 0.23, 0.20, 0.20, 0.23, 0.21, 0.24, 0.22, 0.45, 0.19]}

---

Entry 2: